(Given)
/*
Record 1
Material: Na2CaScPS2O12
Method: DFT, PBE
State: optimized geometry

Summary:
- DFT total energy: -6.65 eV per atom
- Energy of formation from the pure elements: -50.57 eV/f.u.

Unit cell a=15.779 b=9.136 c=23.317 alpha=90.00 beta=90.35 gamma=90.00
Space group Cc (No. 9)
Symmetry-distinct sites (fractional):
Na (0.000, 0.002, 0.000) [4 per cell]
Na (0.143, 0.180, 0.921) [4 per cell]
Na (0.161, 0.486, 0.334) [4 per cell]
Na (0.176, 0.178, 0.253) [4 per cell]
Na (0.329, 0.005, 0.666) [4 per cell]
Na (0.337, 0.319, 0.088) [4 per cell]
Ca (0.153, 0.489, 0.480) [4 per cell]
Ca (0.327, 0.005, 0.315) [4 per cell]
Ca (0.493, 0.499, 0.648) [4 per cell]
Sc (0.161, 0.496, 0.181) [4 per cell]
Sc (0.314, 0.006, 0.515) [4 per cell]
Sc (0.483, 0.499, 0.347) [4 per cell]
P (0.161, 0.202, 0.079) [4 per cell]
P (0.169, 0.142, 0.410) [4 per cell]
P (0.338, 0.357, 0.244) [4 per cell]
S (0.004, 0.358, 0.582) [4 per cell]
S (0.136, 0.156, 0.750) [4 per cell]
S (0.303, 0.347, 0.582) [4 per cell]
S (0.327, 0.295, 0.916) [4 per cell]
S (0.470, 0.157, 0.416) [4 per cell]
S (0.494, 0.205, 0.748) [4 per cell]
O (0.005, 0.197, 0.299) [4 per cell]
O (0.050, 0.415, 0.634) [4 per cell]
O (0.053, 0.383, 0.530) [4 per cell]
O (0.059, 0.397, 0.921) [4 per cell]
O (0.076, 0.382, 0.245) [4 per cell]
O (0.082, 0.056, 0.409) [4 per cell]
O (0.085, 0.123, 0.803) [4 per cell]
O (0.086, 0.099, 0.085) [4 per cell]
O (0.096, 0.089, 0.700) [4 per cell]
O (0.143, 0.319, 0.744) [4 per cell]
O (0.154, 0.292, 0.024) [4 per cell]
O (0.156, 0.306, 0.418) [4 per cell]
O (0.172, 0.308, 0.133) [4 per cell]
O (0.217, 0.111, 0.355) [4 per cell]
O (0.220, 0.070, 0.463) [4 per cell]
O (0.222, 0.090, 0.755) [4 per cell]
O (0.247, 0.112, 0.077) [4 per cell]
O (0.247, 0.431, 0.243) [4 per cell]
O (0.249, 0.378, 0.633) [4 per cell]
O (0.249, 0.387, 0.920) [4 per cell]
O (0.264, 0.408, 0.530) [4 per cell]
O (0.311, 0.184, 0.577) [4 per cell]
O (0.316, 0.202, 0.866) [4 per cell]
O (0.322, 0.190, 0.250) [4 per cell]
O (0.337, 0.204, 0.970) [4 per cell]
O (0.384, 0.386, 0.188) [4 per cell]
O (0.387, 0.416, 0.588) [4 per cell]
O (0.388, 0.421, 0.297) [4 per cell]
O (0.403, 0.390, 0.911) [4 per cell]
O (0.419, 0.069, 0.079) [4 per cell]
O (0.419, 0.119, 0.467) [4 per cell]
O (0.421, 0.106, 0.754) [4 per cell]
O (0.434, 0.097, 0.363) [4 per cell]
O (0.476, 0.322, 0.412) [4 per cell]
O (0.484, 0.290, 0.696) [4 per cell]
O (0.488, 0.303, 0.087) [4 per cell]

Record 2
Material: Na4Ca3SnP2S4O24
Method: DFT, PBE
State: optimized geometry

Summary:
- DFT total energy: -6.30 eV per atom
- Energy of formation from the pure elements: -94.32 eV/f.u.

Unit cell a=9.180 b=9.194 c=23.508 alpha=90.30 beta=90.05 gamma=119.92
Space group P1 (No. 1)
Symmetry-distinct sites (fractional):
Na (0.000, 0.000, 0.000) [1 per cell]
Na (0.005, 0.391, 0.755) [1 per cell]
Na (0.026, 0.066, 0.345) [1 per cell]
Na (0.304, 0.683, 0.340) [1 per cell]
Na (0.335, 0.043, 0.427) [1 per cell]
Na (0.344, 0.025, 0.910) [1 per cell]
Na (0.638, 0.363, 0.995) [1 per cell]
Na (0.651, 0.696, 0.091) [1 per cell]
Na (0.672, 0.706, 0.574) [1 per cell]
Na (0.716, 0.412, 0.671) [1 per cell]
Na (0.968, 0.018, 0.657) [1 per cell]
Na (0.983, 0.360, 0.258) [1 per cell]
Ca (0.006, 0.368, 0.107) [1 per cell]
Ca (0.009, 0.369, 0.595) [1 per cell]
Ca (0.322, 0.018, 0.563) [1 per cell]
Ca (0.335, 0.021, 0.069) [1 per cell]
Ca (0.657, 0.684, 0.925) [1 per cell]
Ca (0.666, 0.692, 0.740) [1 per cell]
Ca (0.670, 0.692, 0.235) [1 per cell]
Ca (0.992, 0.358, 0.404) [1 per cell]
Ca (0.999, 0.366, 0.897) [1 per cell]
Sn (0.332, 0.024, 0.768) [1 per cell]
Sn (0.340, 0.035, 0.272) [1 per cell]
Sn (0.674, 0.699, 0.430) [1 per cell]
P (0.042, 0.735, 0.672) [1 per cell]
P (0.377, 0.398, 0.335) [1 per cell]
P (0.655, 0.372, 0.831) [1 per cell]
P (0.659, 0.986, 0.333) [1 per cell]
P (0.973, 0.705, 0.332) [1 per cell]
P (0.988, 0.044, 0.498) [1 per cell]
S (0.043, 0.031, 0.170) [1 per cell]
S (0.301, 0.361, 0.002) [1 per cell]
*/
(To do)
Now transcribe the data further up without additions.
(Written answer)
Record 1
Material: Na2CaScPS2O12
Method: DFT, PBE
State: optimized geometry

Summary:
- DFT total energy: -6.65 eV per atom
- Energy of formation from the pure elements: -50.57 eV/f.u.

Unit cell a=15.779 b=9.136 c=23.317 alpha=90.00 beta=90.35 gamma=90.00
Space group Cc (No. 9)
Symmetry-distinct sites (fractional):
Na (0.000, 0.002, 0.000) [4 per cell]
Na (0.143, 0.180, 0.921) [4 per cell]
Na (0.161, 0.486, 0.334) [4 per cell]
Na (0.176, 0.178, 0.253) [4 per cell]
Na (0.329, 0.005, 0.666) [4 per cell]
Na (0.337, 0.319, 0.088) [4 per cell]
Ca (0.153, 0.489, 0.480) [4 per cell]
Ca (0.327, 0.005, 0.315) [4 per cell]
Ca (0.493, 0.499, 0.648) [4 per cell]
Sc (0.161, 0.496, 0.181) [4 per cell]
Sc (0.314, 0.006, 0.515) [4 per cell]
Sc (0.483, 0.499, 0.347) [4 per cell]
P (0.161, 0.202, 0.079) [4 per cell]
P (0.169, 0.142, 0.410) [4 per cell]
P (0.338, 0.357, 0.244) [4 per cell]
S (0.004, 0.358, 0.582) [4 per cell]
S (0.136, 0.156, 0.750) [4 per cell]
S (0.303, 0.347, 0.582) [4 per cell]
S (0.327, 0.295, 0.916) [4 per cell]
S (0.470, 0.157, 0.416) [4 per cell]
S (0.494, 0.205, 0.748) [4 per cell]
O (0.005, 0.197, 0.299) [4 per cell]
O (0.050, 0.415, 0.634) [4 per cell]
O (0.053, 0.383, 0.530) [4 per cell]
O (0.059, 0.397, 0.921) [4 per cell]
O (0.076, 0.382, 0.245) [4 per cell]
O (0.082, 0.056, 0.409) [4 per cell]
O (0.085, 0.123, 0.803) [4 per cell]
O (0.086, 0.099, 0.085) [4 per cell]
O (0.096, 0.089, 0.700) [4 per cell]
O (0.143, 0.319, 0.744) [4 per cell]
O (0.154, 0.292, 0.024) [4 per cell]
O (0.156, 0.306, 0.418) [4 per cell]
O (0.172, 0.308, 0.133) [4 per cell]
O (0.217, 0.111, 0.355) [4 per cell]
O (0.220, 0.070, 0.463) [4 per cell]
O (0.222, 0.090, 0.755) [4 per cell]
O (0.247, 0.112, 0.077) [4 per cell]
O (0.247, 0.431, 0.243) [4 per cell]
O (0.249, 0.378, 0.633) [4 per cell]
O (0.249, 0.387, 0.920) [4 per cell]
O (0.264, 0.408, 0.530) [4 per cell]
O (0.311, 0.184, 0.577) [4 per cell]
O (0.316, 0.202, 0.866) [4 per cell]
O (0.322, 0.190, 0.250) [4 per cell]
O (0.337, 0.204, 0.970) [4 per cell]
O (0.384, 0.386, 0.188) [4 per cell]
O (0.387, 0.416, 0.588) [4 per cell]
O (0.388, 0.421, 0.297) [4 per cell]
O (0.403, 0.390, 0.911) [4 per cell]
O (0.419, 0.069, 0.079) [4 per cell]
O (0.419, 0.119, 0.467) [4 per cell]
O (0.421, 0.106, 0.754) [4 per cell]
O (0.434, 0.097, 0.363) [4 per cell]
O (0.476, 0.322, 0.412) [4 per cell]
O (0.484, 0.290, 0.696) [4 per cell]
O (0.488, 0.303, 0.087) [4 per cell]

Record 2
Material: Na4Ca3SnP2S4O24
Method: DFT, PBE
State: optimized geometry

Summary:
- DFT total energy: -6.30 eV per atom
- Energy of formation from the pure elements: -94.32 eV/f.u.

Unit cell a=9.180 b=9.194 c=23.508 alpha=90.30 beta=90.05 gamma=119.92
Space group P1 (No. 1)
Symmetry-distinct sites (fractional):
Na (0.000, 0.000, 0.000) [1 per cell]
Na (0.005, 0.391, 0.755) [1 per cell]
Na (0.026, 0.066, 0.345) [1 per cell]
Na (0.304, 0.683, 0.340) [1 per cell]
Na (0.335, 0.043, 0.427) [1 per cell]
Na (0.344, 0.025, 0.910) [1 per cell]
Na (0.638, 0.363, 0.995) [1 per cell]
Na (0.651, 0.696, 0.091) [1 per cell]
Na (0.672, 0.706, 0.574) [1 per cell]
Na (0.716, 0.412, 0.671) [1 per cell]
Na (0.968, 0.018, 0.657) [1 per cell]
Na (0.983, 0.360, 0.258) [1 per cell]
Ca (0.006, 0.368, 0.107) [1 per cell]
Ca (0.009, 0.369, 0.595) [1 per cell]
Ca (0.322, 0.018, 0.563) [1 per cell]
Ca (0.335, 0.021, 0.069) [1 per cell]
Ca (0.657, 0.684, 0.925) [1 per cell]
Ca (0.666, 0.692, 0.740) [1 per cell]
Ca (0.670, 0.692, 0.235) [1 per cell]
Ca (0.992, 0.358, 0.404) [1 per cell]
Ca (0.999, 0.366, 0.897) [1 per cell]
Sn (0.332, 0.024, 0.768) [1 per cell]
Sn (0.340, 0.035, 0.272) [1 per cell]
Sn (0.674, 0.699, 0.430) [1 per cell]
P (0.042, 0.735, 0.672) [1 per cell]
P (0.377, 0.398, 0.335) [1 per cell]
P (0.655, 0.372, 0.831) [1 per cell]
P (0.659, 0.986, 0.333) [1 per cell]
P (0.973, 0.705, 0.332) [1 per cell]
P (0.988, 0.044, 0.498) [1 per cell]
S (0.043, 0.031, 0.170) [1 per cell]
S (0.301, 0.361, 0.002) [1 per cell]